UNDP Indonesia’s mission is to be an agent for change in the human and social development of Indonesia. We aim to be a bridge between Indonesia and all donors as well as a trusted partner to all stakeholders. We work in four key areas of development: Governance Reforms, Pro-Poor Policy Reforms, Conflict Prevention and Recovery, and Environment Management, with the overarching aim of reducing poverty in Indonesia. Besides the four priority areas, UNDP Indonesia is also engaged in a variety of crosscutting initiatives focused on HIV/AIDS, gender equality, and information and technology for development.
Organizational Context
Under the guidance and supervision of the Operations Manager and direct supervisor, the driver provides reliable and safe driving services ensuring high accuracy of work. The driver demonstrates a client-oriented approach, high sense of responsibility, courtesy, tact and the ability to work with people of different national and cultural backgrounds.
The driver provides driving services to the operations and programme staff in the CO, consultants and experts, UN staff on mission.
Summary of key functions:
- Provision of reliable and safe driving services
- Proper use of vehicle
- Proper day to day maintenance of the assigned vehicle
- Availability of all the required documents/supplies
- All immediate action
- Ensures provision of reliable and secure driving services by a) driving office vehicles for the transport of authorized personnel and delivery and collection of mail, documents and other items and b) meeting official personnel and visitors at the airport, visa and customs formalities arrangement when required.
- Ensures cost-savings through proper use of vehicle through accurate maintenance of daily vehicle logs, provision of inputs to preparation of the vehicle maintenance plans and reports.
- Ensures proper day-to-day maintenance of the assigned vehicle through timely minor repairs, arrangements for major repairs, timely changes of oil, check of tires, brakes, car washing, etc.
- Ensures availability of all the required documents/supplies including vehicle insurance, vehicle logs, office directory, map of the city/country, first aid kit, necessary spare parts.
- Ensures that all immediate actions required by rules and regulations are taken in case of involvement in accidents.
Impact of Results
The key results have an impact on the accurate and timely execution of the CO services
Competencies and Critical Success Factors
Corporate Competencies:
- Demonstrates commitment to UNDP’s mission, vision and values.
**Here the page breaks off for records of molecules:**
+++
{"formula": "C20H70N8O15", "method": "ωB97M-V with the def2-TZVPD basis set", "de_lowest_ev": 2.2187, "total_charge": 0, "spin_multiplicity": 1, "total_energy_ha": -2370.427124, "elements": ["C", "C", "O", "H", "H", "H", "H", "H", "H", "C", "C", "O", "H", "H", "H", "H", "H", "H", "C", "C", "O", "H", "H", "H", "H", "H", "H", "C", "C", "O", "H", "H", "H", "H", "H", "H", "C", "C", "O", "H", "H", "H", "H", "H", "H", "C", "O", "N", "N", "H", "H", "H", "H", "C", "O", "N", "N", "H", "H", "H", "H", "C", "O", "N", "N", "H", "H", "H", "H", "C", "O", "N", "N", "H", "H", "H", "H", "C", "O", "H", "H", "H", "H", "C", "O", "H", "H", "H", "H", "C", "O", "H", "H", "H", "H", "C", "O", "H", "H", "H", "H", "C", "O", "H", "H", "H", "H", "C", "O", "H", "H", "H", "H"], "xyz": [[-13.89, 0.61, -14.92], [-12.47, 1.13, -15.26], [-11.69, 1.13, -14.09], [-13.74, -0.19, -14.16], [-14.45, 0.17, -15.76], [-14.38, 1.43, -14.44], [-12.54, 2.16, -15.71], [-12.08, 0.44, -16.03], [-10.94, 0.51, -14.16], [-14.74, 3.23, -17.37], [-14.12, 4.52, -17.05], [-15.10, 5.45, -17.11], [-15.68, 3.07, -16.83], [-14.05, 2.37, -17.24], [-14.99, 3.28, -18.43], [-13.24, 4.76, -17.74], [-13.78, 4.53, -16.05], [-14.79, 6.23, -16.66], [-15.96, 0.86, -12.28], [-14.72, 0.58, -11.53], [-14.60, 1.61, -10.64], [-15.99, 0.11, -13.02], [-16.02, 1.71, -12.88], [-16.81, 0.82, -11.72], [-13.87, 0.64, -12.22], [-14.69, -0.40, -11.09], [-13.70, 1.98, -10.72], [-18.36, -1.59, -12.71], [-17.96, -2.20, -14.06], [-16.74, -1.75, -14.61], [-17.60, -1.88, -11.97], [-19.30, -2.09, -12.38], [-18.49, -0.59, -12.81], [-18.77, -2.02, -14.74], [-17.92, -3.30, -14.00], [-16.84, -0.84, -14.91], [-19.24, 2.33, -10.95], [-19.77, 1.05, -10.18], [-21.19, 1.08, -10.15], [-19.25, 2.08, -12.05], [-18.23, 2.49, -10.61], [-19.83, 3.24, -10.78], [-19.51, 1.36, -9.15], [-19.36, 0.01, -10.38], [-21.58, 0.92, -9.28], [-21.59, 0.23, -13.30], [-21.48, -0.88, -12.50], [-21.78, 1.40, -12.84], [-21.45, 0.12, -14.59], [-21.56, 1.57, -11.85], [-21.66, 2.31, -13.35], [-21.50, -0.86, -14.88], [-21.57, 0.85, -15.31], [-18.16, 0.53, -15.74], [-18.81, -0.20, -16.74], [-16.89, 0.82, -15.77], [-18.83, 1.16, -14.72], [-16.36, 0.55, -16.64], [-16.56, 1.48, -15.03], [-19.84, 0.91, -14.52], [-18.33, 1.72, -14.04], [-21.03, 4.52, -13.05], [-19.66, 4.77, -12.93], [-21.85, 5.03, -12.21], [-21.48, 3.79, -14.05], [-21.54, 5.55, -11.37], [-22.84, 4.72, -12.19], [-20.74, 3.70, -14.76], [-22.40, 3.76, -14.44], [-20.73, 2.90, -16.92], [-21.36, 1.66, -16.87], [-19.74, 3.28, -16.12], [-21.00, 3.76, -17.84], [-19.38, 2.50, -15.55], [-19.27, 4.18, -16.21], [-21.75, 3.48, -18.51], [-20.60, 4.70, -17.86], [-18.75, -4.52, -16.89], [-18.94, -3.16, -17.19], [-19.52, -4.84, -16.20], [-17.69, -4.62, -16.60], [-18.79, -5.07, -17.80], [-18.12, -2.70, -17.38], [-16.64, 3.82, -14.54], [-17.63, 3.31, -13.75], [-16.16, 4.80, -14.30], [-17.20, 4.01, -15.47], [-15.87, 3.07, -14.70], [-18.20, 4.02, -13.47], [-20.98, 0.13, -19.72], [-19.74, -0.21, -19.27], [-21.47, -0.85, -20.00], [-20.83, 0.71, -20.65], [-21.48, 0.78, -19.05], [-19.64, 0.11, -18.38], [-14.35, 0.09, -18.64], [-15.66, 0.24, -18.07], [-13.64, -0.09, -17.82], [-13.94, 1.00, -19.15], [-14.21, -0.70, -19.40], [-16.31, 0.13, -18.82], [-21.48, -3.31, -14.62], [-21.22, -2.35, -15.67], [-20.86, -2.98, -13.81], [-21.40, -4.30, -15.00], [-22.50, -3.22, -14.34], [-20.44, -2.57, -16.20], [-17.84, 2.62, -18.70], [-18.91, 3.01, -19.56], [-17.75, 3.34, -17.88], [-16.94, 2.59, -19.21], [-18.08, 1.72, -18.20], [-19.65, 3.34, -19.04]]}
+++
- Displays cultural, gender, religion, race, nationality and age sensitivity and adaptability
Knowledge Management and Learning
- Shares knowledge and experience
- Provides helpful feedback and advice to others in the office
Development and Operational Effectiveness
- Demonstrates excellent knowledge of driving rules and regulations and skills in minor vehicle repair
- Demonstrates excellent knowledge of protocol
- Demonstrates excellent knowledge of security issues
Leadership and Self-Management
- Focuses on result for the client
- Consistently approaches work with energy and a positive, constructive attitude
- Remains calm, in control and good humored even under pressure
- Responds positively to critical feedback and differing points of views
Secondary education and valid driver’s license
2 years work experience as a driver; safe driving record, knowledge of driving rules and regulations and skills in minor vehicle repair.
Language Requirements:
Fluency in the language of the duty station, knowledge of the UN language of the duty station.
I’d love to join in UNDP, while working broaden, my phone no is 021-92352858
Seiring dengan pengelaman saya, saya supir,sim b1 umum. bermaksud mengajukan permohonan lamaran kerja.
Besar harapan saya untuk dapat kiranya diterima sesuai dengan pengalaman saya
Atas perhatianya diucapikan terimakasih.
:-c telepon saya HP:081372122738
Dengan hormat,
Saya mengajukan lamaran untuk posisi “Driver”, sebagai bahan pertimbangan adalah data pribadi saya :
Nama : Heri Nizarudin Hasibuan
Alamat : Jl. Pisangan Baru Tengah
No. 11 Rt.005/14
Pisangan Baru – Jakarta
Timur 13110
Telp. 021-33687768
Agama : Islam
Pendidikan : STMN Pembangunan
Jakarta jurusan Outomotiif
Referensi pengalaman kerja:
1. Bekerja di PT. Sriyaniasti
Bertugas sebagai mekanik
masa kerja 1 tahun
2. Bekerja di PT. Blue Bird
Bertugas sebagai mekanik
masa kerja 5 tahun
3. Bekerja di PT. Martina Berto
Bertugas sebagai driver
## Someone pasted records of molecules at this point
The following is a quantum chemistry calculation of C4H12OSi2 in the gas phase, from the Open Molecules 2025 dataset.

Structure (XYZ):
```
19
Properties=species:S:1:pos:R:3:nbo_charge:R:1
C 2.69 -1.48 0.21 -0.351
C 2.18 -0.28 -0.01 -0.408
C 2.74 0.65 -1.09 -0.656
Si 0.53 0.25 0.86 1.427
O -0.82 0.00 -0.53 -1.284
Si -2.43 -0.12 -0.80 1.429
C -3.49 0.43 0.82 -1.065
H 2.23 -2.07 0.90 0.190
H 3.61 -1.85 -0.29 0.196
H 3.54 1.34 -0.62 0.225
H 1.99 1.40 -1.66 0.228
H 3.09 -0.02 -1.83 0.220
H 0.54 1.63 1.15 -0.202
H 0.00 -0.63 1.84 -0.195
H -2.85 0.92 -1.73 -0.198
H -2.60 -1.59 -0.68 -0.200
H -4.31 -0.24 0.92 0.220
H -2.81 0.26 1.72 0.212
H -3.83 1.39 0.82 0.210
```

SMILES string	C=C(C)[SiH2]O[SiH2]C
E_LUMO	0.64	eV
charge	0

=====

The following is a quantum chemistry calculation of 2 unconnected molecules or ions with the total composition C4H12OSi2, from the Open Molecules 2025 dataset.

Structure (XYZ):
```
19
Properties=species:S:1:pos:R:3:nbo_charge:R:1
C -1.04 -2.11 -1.36 -0.305
C -0.69 -0.81 -1.38 -0.737
C 0.64 2.54 -1.21 -0.593
C 1.11 1.65 -0.04 -0.902
O 0.50 -0.86 1.13 -1.319
Si 0.09 -1.72 2.47 1.169
Si -0.04 0.20 0.05 1.845
H -1.49 -2.63 -2.12 0.186
H -0.94 -2.85 -0.53 0.192
H -1.07 -0.11 -2.12 0.220
H 1.45 3.19 -1.42 0.212
H 0.41 1.88 -1.97 0.195
H -0.17 3.03 -0.80 0.216
H 1.08 2.14 0.84 0.236
H 2.08 1.22 -0.31 0.234
H 1.19 -1.09 3.45 -0.165
H 0.41 -3.16 1.90 -0.176
H -1.40 -1.42 2.70 -0.156
H -2.14 0.92 0.73 -0.353
```

E_LUMO	0.52	eV
charge	0

=====

The following is a quantum chemistry calculation of 2 unconnected molecules or ions with the total composition C4H12OSi2, from the Open Molecules 2025 dataset.

Structure (XYZ):
```
19
Properties=species:S:1:pos:R:3:mulliken_spin:R:1
C 2.29 -2.69 0.93 -0.149
C 1.00 -2.42 1.03 0.995
C 1.12 0.86 -1.92 0.021
C -0.34 1.03 -1.35 0.039
O 0.05 2.11 1.22 0.082
Si -2.77 0.58 0.92 0.087
Si -0.54 0.79 0.48 0.761
H 2.78 -3.64 1.08 0.064
H 2.78 -1.80 0.56 0.050
H -0.03 -2.80 1.33 0.038
H 1.47 -0.10 -1.41 0.000
H 1.34 0.87 -2.91 0.002
H 1.72 1.58 -1.28 -0.006
H -0.78 0.28 -1.88 -0.021
H -0.82 1.92 -1.61 0.017
H 0.80 2.40 1.77 -0.010
H -3.31 0.32 2.25 -0.001
H -3.62 1.61 0.48 0.033
H -3.14 -0.88 0.31 -0.001
```

multiplicity	3
E_LUMO (alpha / beta)	0.58 / -1.11	eV
charge	0

=====

The following is a quantum chemistry calculation of 2 unconnected molecules or ions with the total composition C4H12S, from the Open Molecules 2025 dataset.

Structure (XYZ):
```
17
Properties=species:S:1:pos:R:3:nbo_charge:R:1
C -2.03 1.56 -0.96 -0.619
C -0.66 0.93 -0.74 -0.515
S -0.80 -0.85 -1.05 -0.050
H -2.67 1.40 -0.09 0.213
H -2.54 1.12 -1.81 0.215
H -1.92 2.62 -1.18 0.218
H 0.08 1.32 -1.44 0.213
H -0.34 1.10 0.28 0.208
H 0.49 -1.19 -1.08 0.119
C 2.29 0.20 1.44 -0.605
C 1.61 -0.97 2.12 -0.608
H 2.49 0.99 2.17 0.201
H 1.70 0.64 0.64 0.196
H 3.29 -0.05 1.07 0.201
H 1.39 -1.78 1.43 0.207
H 2.17 -1.26 3.00 0.206
H 0.64 -0.61 2.48 0.201
```

SMILES string	CCS.CC
E_LUMO	0.93	eV
charge	0

=====
masa kerja 5 tahun
4. Bekerja di PT. Semesta Eltrindo
Bertugas sebagai driver
masa kerja 4 tahun
Demikian lamaran dan data pribadi saya dan atas perhatiannya saya ucapkan terima kasih.
Hormat saya,
Heri Nizarudin Hasibuan
Kepada;Bpk/Ibu pimpinan.
Dengan hormat;
Nama:Endut hotama panggabean
alamat;jl;sipitu-pitu pematang siantar.
pengalaman kerja sebagai supir truk selama 10 thn.memiliki SIM B1 UMUM.mobil yang pernah saya kendarai 10 roda atau tronton.pengalaman perjalanan kerja antar pulau sumatera-pulau jawa.pekerja keras,bertanggung jawab,jujur,tahan tantangan.siap ditempatkan kerja di seluruh wilayah indonesia atau luar negeri.dengan ini saya mengajukan surat lamaran ini,untuk msebagai supir di UNDP Indonesia.untuk menghubungi saya dengan nomor Hp:081260887742/081220226403.Sekian Dan Terimakasih.